(Listing)
~~~
1.
Computed, not measured: an optimized crystal structure of Tb6SnP3S2 at the PBE-GGA level of DFT.

```
12
Lattice="8.876 -2.009 0.000 8.876 2.009 0.000 -1.902 0.000 7.998" Properties=species:S:1:pos:R:3 pbc="T T T"
Tb 17.308 0.000 1.846
Tb -1.458 0.000 6.152
Tb 5.002 0.000 3.337
Tb 4.208 0.000 7.283
Tb 11.641 0.000 0.715
Tb 10.848 0.000 4.660
Sn 7.925 0.000 3.999
P 2.325 0.000 2.649
P 8.876 0.000 0.000
P 13.525 0.000 5.348
S 1.422 0.000 6.716
S 14.427 0.000 1.282
```

For the uncorrected formation energy, the calculation gives -154.4 kJ/mol of atoms. As for the crystal system: monoclinic.


2.
Computed, not measured: an optimized crystal structure of Tb6SnP2S3 at the PBE-GGA level of DFT.

```
12
Lattice="8.834 -2.013 0.000 8.834 2.013 0.000 -1.825 0.000 7.952" Properties=species:S:1:pos:R:3 pbc="T T T"
Tb -0.444 0.000 2.134
Tb 4.129 0.000 7.194
Tb 5.059 0.000 3.351
Tb 10.783 0.000 4.600
Tb 11.714 0.000 0.758
Tb 16.287 0.000 5.818
Sn 8.834 0.000 0.000
P 2.353 0.000 2.671
P 13.490 0.000 5.281
S 1.414 0.000 6.613
S 7.921 0.000 3.976
S 14.428 0.000 1.339
```

For the uncorrected formation energy, the calculation gives -160.0 kJ/mol of atoms. As for the crystal system: monoclinic.


3.
Computed, not measured: an optimized crystal structure of TcSnP2S at the PBE-GGA level of DFT.

```
5
Lattice="4.994 0.000 0.000 0.000 4.994 0.000 0.000 0.000 4.929" Properties=species:S:1:pos:R:3 pbc="T T T"
Tc 0.000 0.000 0.000
Sn 2.497 2.497 2.465
P 0.000 2.497 2.465
P 2.497 0.000 2.465
S 2.497 2.497 0.000
```

The value obtained for the distance to the lowest polymorph of the same formula is 1167 meV/atom. For the uncorrected formation energy, the calculation gives 141.6 kJ/mol of atoms. As for the crystal system: tetragonal.


4.
Computed, not measured: an optimized crystal structure of TcSnP2S at the PBE-GGA level of DFT.

```
5
Lattice="4.492 0.000 0.000 0.000 4.492 0.000 0.000 0.000 5.341" Properties=species:S:1:pos:R:3 pbc="T T T"
Tc 0.000 0.000 0.000
Sn 2.246 2.246 2.670
P 0.000 2.246 0.000
P 2.246 0.000 0.000
S 0.000 0.000 2.670
```

The value obtained for the distance to the lowest polymorph of the same formula is 0 meV/atom. For the uncorrected formation energy, the calculation gives 29.0 kJ/mol of atoms. As for the crystal system: tetragonal.


5.
Computed, not measured: an optimized crystal structure of TcSnPS2 at the PBE-GGA level of DFT.

```
5
Lattice="4.829 0.000 0.000 0.000 4.829 0.000 0.000 0.000 4.489" Properties=species:S:1:pos:R:3 pbc="T T T"
Tc 0.000 0.000 0.000
Sn 2.414 2.414 2.244
P 0.000 0.000 2.244
S 0.000 2.414 0.000
S 2.414 0.000 0.000
```

The value obtained for the distance to the lowest polymorph of the same formula is 0 meV/atom. For the uncorrected formation energy, the calculation gives 22.0 kJ/mol of atoms. As for the crystal system: tetragonal.


6.
Computed, not measured: an optimized crystal structure of TcSnPS2 at the PBE-GGA level of DFT.

```
5
Lattice="4.929 0.000 0.000 0.000 4.929 0.000 0.000 0.000 5.054" Properties=species:S:1:pos:R:3 pbc="T T T"
Tc 0.000 0.000 0.000
Sn 2.465 2.465 2.527
P 2.465 2.465 0.000
S 0.000 2.465 2.527
S 2.465 0.000 2.527
```

The value obtained for the distance to the lowest polymorph of the same formula is 986 meV/atom. For the uncorrected formation energy, the calculation gives 117.1 kJ/mol of atoms. As for the crystal system: tetragonal.


7.
Computed, not measured: an optimized crystal structure of TiSnPS2 at the PBE-GGA level of DFT.

```
5
Lattice="4.946 0.000 0.000 0.000 4.946 0.000 0.000 0.000 4.949" Properties=species:S:1:pos:R:3 pbc="T T T"
Ti 0.000 0.000 0.000
Sn 2.473 2.473 2.474
P 2.473 2.473 0.000
S 0.000 2.473 2.474
S 2.473 0.000 2.474
```

The value obtained for the distance to the lowest polymorph of the same formula is 960 meV/atom. For the uncorrected formation energy, the calculation gives 60.9 kJ/mol of atoms. As for the crystal system: tetragonal.


8.
Computed, not measured: an optimized crystal structure of TiSnPS2 at the PBE-GGA level of DFT.

```
5
~~~

(Assignment)
Your job: write out all of the entries earlier on unchanged.

(Written answer)
1.
Computed, not measured: an optimized crystal structure of Tb6SnP3S2 at the PBE-GGA level of DFT.

```
12
Lattice="8.876 -2.009 0.000 8.876 2.009 0.000 -1.902 0.000 7.998" Properties=species:S:1:pos:R:3 pbc="T T T"
Tb 17.308 0.000 1.846
Tb -1.458 0.000 6.152
Tb 5.002 0.000 3.337
Tb 4.208 0.000 7.283
Tb 11.641 0.000 0.715
Tb 10.848 0.000 4.660
Sn 7.925 0.000 3.999
P 2.325 0.000 2.649
P 8.876 0.000 0.000
P 13.525 0.000 5.348
S 1.422 0.000 6.716
S 14.427 0.000 1.282
```

For the uncorrected formation energy, the calculation gives -154.4 kJ/mol of atoms. As for the crystal system: monoclinic.


2.
Computed, not measured: an optimized crystal structure of Tb6SnP2S3 at the PBE-GGA level of DFT.

```
12
Lattice="8.834 -2.013 0.000 8.834 2.013 0.000 -1.825 0.000 7.952" Properties=species:S:1:pos:R:3 pbc="T T T"
Tb -0.444 0.000 2.134
Tb 4.129 0.000 7.194
Tb 5.059 0.000 3.351
Tb 10.783 0.000 4.600
Tb 11.714 0.000 0.758
Tb 16.287 0.000 5.818
Sn 8.834 0.000 0.000
P 2.353 0.000 2.671
P 13.490 0.000 5.281
S 1.414 0.000 6.613
S 7.921 0.000 3.976
S 14.428 0.000 1.339
```

For the uncorrected formation energy, the calculation gives -160.0 kJ/mol of atoms. As for the crystal system: monoclinic.


3.
Computed, not measured: an optimized crystal structure of TcSnP2S at the PBE-GGA level of DFT.

```
5
Lattice="4.994 0.000 0.000 0.000 4.994 0.000 0.000 0.000 4.929" Properties=species:S:1:pos:R:3 pbc="T T T"
Tc 0.000 0.000 0.000
Sn 2.497 2.497 2.465
P 0.000 2.497 2.465
P 2.497 0.000 2.465
S 2.497 2.497 0.000
```

The value obtained for the distance to the lowest polymorph of the same formula is 1167 meV/atom. For the uncorrected formation energy, the calculation gives 141.6 kJ/mol of atoms. As for the crystal system: tetragonal.


4.
Computed, not measured: an optimized crystal structure of TcSnP2S at the PBE-GGA level of DFT.

```
5
Lattice="4.492 0.000 0.000 0.000 4.492 0.000 0.000 0.000 5.341" Properties=species:S:1:pos:R:3 pbc="T T T"
Tc 0.000 0.000 0.000
Sn 2.246 2.246 2.670
P 0.000 2.246 0.000
P 2.246 0.000 0.000
S 0.000 0.000 2.670
```

The value obtained for the distance to the lowest polymorph of the same formula is 0 meV/atom. For the uncorrected formation energy, the calculation gives 29.0 kJ/mol of atoms. As for the crystal system: tetragonal.


5.
Computed, not measured: an optimized crystal structure of TcSnPS2 at the PBE-GGA level of DFT.

```
5
Lattice="4.829 0.000 0.000 0.000 4.829 0.000 0.000 0.000 4.489" Properties=species:S:1:pos:R:3 pbc="T T T"
Tc 0.000 0.000 0.000
Sn 2.414 2.414 2.244
P 0.000 0.000 2.244
S 0.000 2.414 0.000
S 2.414 0.000 0.000
```

The value obtained for the distance to the lowest polymorph of the same formula is 0 meV/atom. For the uncorrected formation energy, the calculation gives 22.0 kJ/mol of atoms. As for the crystal system: tetragonal.


6.
Computed, not measured: an optimized crystal structure of TcSnPS2 at the PBE-GGA level of DFT.

```
5
Lattice="4.929 0.000 0.000 0.000 4.929 0.000 0.000 0.000 5.054" Properties=species:S:1:pos:R:3 pbc="T T T"
Tc 0.000 0.000 0.000
Sn 2.465 2.465 2.527
P 2.465 2.465 0.000
S 0.000 2.465 2.527
S 2.465 0.000 2.527
```

The value obtained for the distance to the lowest polymorph of the same formula is 986 meV/atom. For the uncorrected formation energy, the calculation gives 117.1 kJ/mol of atoms. As for the crystal system: tetragonal.


7.
Computed, not measured: an optimized crystal structure of TiSnPS2 at the PBE-GGA level of DFT.

```
5
Lattice="4.946 0.000 0.000 0.000 4.946 0.000 0.000 0.000 4.949" Properties=species:S:1:pos:R:3 pbc="T T T"
Ti 0.000 0.000 0.000
Sn 2.473 2.473 2.474
P 2.473 2.473 0.000
S 0.000 2.473 2.474
S 2.473 0.000 2.474
```

The value obtained for the distance to the lowest polymorph of the same formula is 960 meV/atom. For the uncorrected formation energy, the calculation gives 60.9 kJ/mol of atoms. As for the crystal system: tetragonal.


8.
Computed, not measured: an optimized crystal structure of TiSnPS2 at the PBE-GGA level of DFT.

```
5